## Material
--- i ---
# MnNiI2O

An optimized crystal structure of MnNiI2O (PBE with a Hubbard U, Alexandria via LeMat-Bulk).

The structure belongs to space group P4/mmm (No. 123); the cell edges are 5.6532, 5.6532 and 3.6637 Å and the angles 90.00°, 90.00° and 90.00°. The distinct sites, in fractional coordinates, are Mn at (0.0000, 0.0000, 0.0000), Ni at (0.5000, 0.5000, 0.5000), I at (0.0000, 0.5000, 0.5000) and O at (0.5000, 0.5000, 0.0000).

For the spin magnetization, the calculation gives 2.9 μB/f.u.

=====

--- ii ---
# MnNiI2O

An optimized crystal structure of MnNiI2O (PBE with a Hubbard U, Alexandria via LeMat-Bulk).

The structure belongs to space group P4/mmm (No. 123); the cell edges are 5.7474, 5.7474 and 3.6980 Å and the angles 90.00°, 90.00° and 90.00°. The distinct sites, in fractional coordinates, are Mn at (0.0000, 0.0000, 0.0000), Ni at (0.5000, 0.5000, 0.5000), I at (0.0000, 0.5000, 0.0000) and O at (0.0000, 0.0000, 0.5000).

For the spin magnetization, the calculation gives 5.1 μB/f.u.

=====

Relative energies, meV per atom: i 148; ii 0.


Entry 1:
Density functional theory data (PBE) for crystalline Ce2AgPb at its relaxed geometry.

a = 4.552 Å, b = 4.484 Å, c = 6.031 Å
α = 111.83°, β = 112.17°, γ = 90.00°
Each line ends with the local moment (μB).
Fractional positions:
Ce: 0.027 0.027 0.053  0.84
Ce: 0.216 0.716 0.432  0.79
Ag: 0.480 0.480 0.960  0.01
Pb: 0.777 0.277 0.554  -0.02

Calculated values
* crystal system: orthorhombic
* energy relative to the elements: -0.213 eV/atom
* energy: -19.277 eV per cell



Entry 2:
Density functional theory data (PBE) for crystalline CeAgPb at its relaxed geometry.

a = 3.600 Å, b = 5.024 Å, c = 5.024 Å
α = 120.00°, β = 90.00°, γ = 90.00°
Each line ends with the local moment (μB).
Fractional positions:
Pb: 0.166 0.000 0.000  -0.01
Ag: 0.168 0.333 0.667  0.03
Ce: 0.666 0.667 0.333  1.08

Calculated values
* crystal system: trigonal
* energy relative to the elements: -0.272 eV/atom
* energy: -13.309 eV per cell



Entry 3:
Density functional theory data (PBE) for crystalline Ce2AgPb at its relaxed geometry.

a = 4.656 Å, b = 4.787 Å, c = 4.787 Å
α = 90.00°, β = 90.00°, γ = 90.00°
Each line ends with the local moment (μB).
Fractional positions:
Pb: 0.500 0.500 0.500  -0.01
Ag: 0.500 0.000 0.000  0.03
Ce: 0.000 0.000 0.500  1.00
Ce: 0.000 0.500 0.000  1.00

Calculated values
* crystal system: tetragonal
* energy relative to the elements: -0.235 eV/atom
* energy: -19.369 eV per cell



Entry 4:
Density functional theory data (PBE) for crystalline CeAgPb at its relaxed geometry.

a = 4.783 Å, b = 6.427 Å, c = 6.427 Å
α = 65.10°, β = 68.15°, γ = 68.15°
Each line ends with the local moment (μB).
Fractional positions:
Ce: 0.623 0.579 0.175  0.84
Ce: 0.623 0.175 0.579  0.84
Ag: 0.317 0.987 0.380  0.01
Ag: 0.317 0.380 0.987  0.01
Pb: 0.904 0.596 0.596  -0.01
Pb: 0.010 0.990 0.990  -0.01

Calculated values
* crystal system: orthorhombic
* energy relative to the elements: -0.021 eV/atom
* energy: -25.115 eV per cell



Entry 5:
Density functional theory data (PBE) for crystalline Ce2AgPb at its relaxed geometry.

a = 5.441 Å, b = 5.441 Å, c = 5.441 Å
α = 60.00°, β = 60.00°, γ = 60.00°
Each line ends with the local moment (μB).
Fractional positions:
Pb: 0.500 0.500 0.500  -0.04
Ag: 0.000 0.000 0.000  0.03
Ce: 0.250 0.250 0.250  1.13
Ce: 0.750 0.750 0.750  1.13

Calculated values
* crystal system: cubic
* energy relative to the elements: -0.229 eV/atom
* energy: -19.343 eV per cell



Entry 6:
Density functional theory data (PBE) for crystalline CeAgPb at its relaxed geometry.

a = 5.259 Å, b = 5.259 Å, c = 6.426 Å
α = 90.00°, β = 90.00°, γ = 120.00°
Each line ends with the local moment (μB).
Fractional positions:
Pb: 0.667 0.333 0.000  0.00
Pb: 0.333 0.667 0.000  0.00
Ag: 0.333 0.667 0.500  0.00
Ag: 0.667 0.333 0.500  0.00
Ce: 0.000 0.000 0.289  0.78
Ce: 0.000 0.000 0.711  0.78

Calculated values
* crystal system: hexagonal
* energy relative to the elements: -0.171 eV/atom

## Brief
Return the lines further above from the first line to the one with "Entry 5:" character by character.

## Solution
--- i ---
# MnNiI2O

An optimized crystal structure of MnNiI2O (PBE with a Hubbard U, Alexandria via LeMat-Bulk).

The structure belongs to space group P4/mmm (No. 123); the cell edges are 5.6532, 5.6532 and 3.6637 Å and the angles 90.00°, 90.00° and 90.00°. The distinct sites, in fractional coordinates, are Mn at (0.0000, 0.0000, 0.0000), Ni at (0.5000, 0.5000, 0.5000), I at (0.0000, 0.5000, 0.5000) and O at (0.5000, 0.5000, 0.0000).

For the spin magnetization, the calculation gives 2.9 μB/f.u.

=====

--- ii ---
# MnNiI2O

An optimized crystal structure of MnNiI2O (PBE with a Hubbard U, Alexandria via LeMat-Bulk).

The structure belongs to space group P4/mmm (No. 123); the cell edges are 5.7474, 5.7474 and 3.6980 Å and the angles 90.00°, 90.00° and 90.00°. The distinct sites, in fractional coordinates, are Mn at (0.0000, 0.0000, 0.0000), Ni at (0.5000, 0.5000, 0.5000), I at (0.0000, 0.5000, 0.0000) and O at (0.0000, 0.0000, 0.5000).

For the spin magnetization, the calculation gives 5.1 μB/f.u.

=====

Relative energies, meV per atom: i 148; ii 0.


Entry 1:
Density functional theory data (PBE) for crystalline Ce2AgPb at its relaxed geometry.

a = 4.552 Å, b = 4.484 Å, c = 6.031 Å
α = 111.83°, β = 112.17°, γ = 90.00°
Each line ends with the local moment (μB).
Fractional positions:
Ce: 0.027 0.027 0.053  0.84
Ce: 0.216 0.716 0.432  0.79
Ag: 0.480 0.480 0.960  0.01
Pb: 0.777 0.277 0.554  -0.02

Calculated values
* crystal system: orthorhombic
* energy relative to the elements: -0.213 eV/atom
* energy: -19.277 eV per cell



Entry 2:
Density functional theory data (PBE) for crystalline CeAgPb at its relaxed geometry.

a = 3.600 Å, b = 5.024 Å, c = 5.024 Å
α = 120.00°, β = 90.00°, γ = 90.00°
Each line ends with the local moment (μB).
Fractional positions:
Pb: 0.166 0.000 0.000  -0.01
Ag: 0.168 0.333 0.667  0.03
Ce: 0.666 0.667 0.333  1.08

Calculated values
* crystal system: trigonal
* energy relative to the elements: -0.272 eV/atom
* energy: -13.309 eV per cell



Entry 3:
Density functional theory data (PBE) for crystalline Ce2AgPb at its relaxed geometry.

a = 4.656 Å, b = 4.787 Å, c = 4.787 Å
α = 90.00°, β = 90.00°, γ = 90.00°
Each line ends with the local moment (μB).
Fractional positions:
Pb: 0.500 0.500 0.500  -0.01
Ag: 0.500 0.000 0.000  0.03
Ce: 0.000 0.000 0.500  1.00
Ce: 0.000 0.500 0.000  1.00

Calculated values
* crystal system: tetragonal
* energy relative to the elements: -0.235 eV/atom
* energy: -19.369 eV per cell



Entry 4:
Density functional theory data (PBE) for crystalline CeAgPb at its relaxed geometry.

a = 4.783 Å, b = 6.427 Å, c = 6.427 Å
α = 65.10°, β = 68.15°, γ = 68.15°
Each line ends with the local moment (μB).
Fractional positions:
Ce: 0.623 0.579 0.175  0.84
Ce: 0.623 0.175 0.579  0.84
Ag: 0.317 0.987 0.380  0.01
Ag: 0.317 0.380 0.987  0.01
Pb: 0.904 0.596 0.596  -0.01
Pb: 0.010 0.990 0.990  -0.01

Calculated values
* crystal system: orthorhombic
* energy relative to the elements: -0.021 eV/atom
* energy: -25.115 eV per cell



Entry 5: